Founder of Climate Emergency Response Group discusses Scotland’s green recovery


Many of the central policies in the Scottish Programme for Government published earlier this week have been welcomed by a collection of leaders spanning Scotland’s private, public and third sectors, delivery organisations and membership bodies.

The Climate Emergency Response Group (CERG) aims to inform and influence the Scottish Government’s response to the climate emergency by providing ‘practical, workable solutions’ for the decision-makers.

Teresa Bray, founding member of the Climate Emergency Response Group and Chief Executive of Changeworks, an environmental charity in Scotland, sat down with ICON on behalf of the Group and shared their thoughts regarding the Programme for Government.



Several of the commitments show the government is ‘re-thinking’ the fossil fuel-driven economy and taking the green route to recovery for the good of people and planet.

What we need now is action – and with urgency. We need new programmes underway this autumn, and existing programmes expanded immediately – led with the same focus and imagination we are applying to addressing the pandemic.

We highlight three flagship policies which chime with CERG’s recommendations from our report on the green recovery.

These could – with strong leadership – set us firmly on the path to a green recovery.

First is the commitment to green jobs – a Green Jobs Fund of £100m is announced to invest in the jobs and climate skills of the future – local food production and distribution, renewables, charging infrastructure, heat pumps, and re-manufactured furniture.

The details are light, but the intent to prioritise enterprise support and investment in green businesses is promising.

We also welcome the plan for expanding youth employment and green apprenticeship opportunities in nature and land-based jobs – a real example of public sector leadership which should be expanded to the third and private sector.

Teresa Bray

The commitment to reach zero emissions from heating buildings by 2040 is welcome and backed with a significant increase in funding.

This will give industry confidence to invest in technologies that can be deployed now, and the commitment to explore an industrial strategy to secure the economic benefits is welcome.

# Materials data, as found in the file
Ba2LaTa | Alexandria | GGA-PBEsol | optimized geometry; ρ = 7.56 Mg/m³; energy of formation from the pure elements = 3.4 eV per formula unit; space group = P4/mmm, No. 123; raw total energy = -4.686 eV/atom
1.0
-2.098 -0.667 2.539
1.564 -2.928 0.523
7.252 5.188 7.357
La Ba Ta
1 2 1
direct
0.500 0.500 0.000
0.000 0.000 0.717
0.000 0.000 0.283
0.500 0.500 0.500


VASP calculation (PBEsol) on an optimized crystal structure of NaPW3.

Lattice parameters (Å, degrees): 4.491 4.491 4.491 90.00 90.00 90.00
Element x y z (fractional)
Na  0.000  0.000  0.000
P  0.500  0.500  0.500
W  0.000  0.500  0.500
W  0.500  0.000  0.500
W  0.500  0.500  0.000

Values from the calculation:
DOS(E_F) = 1.36 states/eV/atom
Symmetry = Pm-3m (221)
E = -8.466 eV/atom
DFT formation energy = 1.256 eV per atom


[1]
Below is crystalline CeTiTlPb at its relaxed geometry, with properties calculated at the PBE level.

The structure belongs to space group F-43m (No. 216); the cell edges are 7.421, 7.421 and 7.421 Å and the angles 90.00°, 90.00° and 90.00°. The asymmetric unit holds Ce at (0.000, 0.000, 0.000), Ti at (0.000, 0.000, 0.500), Tl at (0.250, 0.250, 0.250) and Pb at (0.250, 0.250, 0.750).

Its energy relative to the elements is -0.26 eV per formula unit. The calculation puts the total magnetic moment at 3.17 μB/f.u.



[2]
Below is crystalline Ce4Tl3Pb at its relaxed geometry, with properties calculated at the PBE level.

The structure belongs to space group C2/m (No. 12); the cell edges are 14.092, 4.510 and 7.598 Å and the angles 90.00°, 90.07° and 90.00°. The asymmetric unit holds Ce at (0.153, 0.000, 0.177), Ce at (0.153, 0.000, 0.823), Tl at (0.000, 0.500, 0.000), Tl at (0.169, 0.500, 0.500) and Pb at (0.000, 0.000, 0.500).

Its energy relative to the elements is -0.35 eV per formula unit. The calculation puts the offset from the most stable computed form at 218 meV/atom. The calculation puts the total magnetic moment at 3.84 μB/f.u.



[3]
Below is crystalline Ce6Tl2Pb at its relaxed geometry, with properties calculated at the PBE level.

The structure belongs to space group P6/mmm (No. 191); the cell edges are 9.1761, 9.1761 and 3.2383 Å and the angles 90.00°, 90.00° and 120.00°. The asymmetric unit holds Ce at (0.0000, 0.3367, 0.0000), Tl at (0.3333, 0.6667, 0.5000) and Pb at (0.0000, 0.0000, 0.5000).

Its energy relative to the elements is -1.08 eV per formula unit. The calculation puts the offset from the most stable computed form at 0 meV/atom. The calculation puts the total magnetic moment at 5.23 μB/f.u.



[4]
Below is crystalline Ce2TlPb3 at its relaxed geometry, with properties calculated at the PBE level.

The structure belongs to space group Cmmm (No. 65); the cell edges are 4.630, 15.675 and 4.863 Å and the angles 90.00°, 90.00° and 90.00°. The asymmetric unit holds Ce at (0.000, 0.150, 0.000), Tl at (0.000, 0.000, 0.500), Pb at (0.000, 0.325, 0.500) and Pb at (0.000, 0.500, 0.000).

We agree this will require a doubling year on year of renewable heat, as well as storage technologies – alongside energy efficiency measures – which will create thousands of high-quality, well-paid jobs.

It must also be done in a way that those living in fuel poverty come first in enjoying the benefits of the energy transition.

The plan for city and town centre transformations, based on the ’20-minute neighbourhood’ points to a healthier, more climate-friendly way of living and a welcome shift from business as usual.

Many of us have come to appreciate our local shops and green spaces during the lock-down and are eager to build resilient communities where all our needs can be met within a 20-minute walk.

There are significant multi-year funding commitments to make this possible and we argue more will be necessary including funding for local authorities to engage and plan with communities.

It’s good that Low Emission Zones are on again, though we would like to see the Government signal a switch to zero emission public transport by supporting a leasing model that will enable large-scale zero emission bus purchasing.

As we’ve learned with COVID-19, an emergency requires an emergency response.

This Programme for Government gives us some new policies, and we have some good policies in place already.

Delivery needs to start today so jobs can be saved and created tomorrow.

Energy efficiency and fuel poverty programmes should be expanded immediately.

Many walking, cycling and bus priority measures are ready to go and engaging communities on 20-minute neighbourhoods can begin now, and there’s much, much more to be done.

The Scottish Government must press on and drive a vibrant green recovery, securing green jobs and helping to avert the global climate crisis.